[File]
<<<
VASP calculation (PBE) on TiZnPd4 after structural relaxation.

Lattice parameters (Å, degrees): 3.205 3.205 8.927 90.00 90.00 90.00
Atoms (fractional coordinates):
Ti  0.000  0.000  0.000
Zn  0.500  0.500  0.500
Pd  0.000  0.000  0.342
Pd  0.000  0.000  0.658
Pd  0.500  0.500  0.155
Pd  0.500  0.500  0.845
>>>
[What to do]
Filter the block further above: keep the lines with the word "on", please.
[Done]
VASP calculation (PBE) on TiZnPd4 after structural relaxation.